West Zone is imploding

You crossed the line. Separate your own personal issues as we all know that she as set up to fail. At least she had the guts to try.

Wrong. If she was a brave as you are suggesting, she should have the guts to say that it isn’t working. It’s all about her. Any leader who sees a mass exodous under them needs to look at what they are doing. She will never do that. She blames others. It’s such a shire trait

There is no line with Julie. All of it is smoke and mirrors. The condition, her kids... all set up to make some line. SHE crossed the line by being sneaky and forcing people out of the company. Many with their own conditions and families to think about.

Julie is a textbook sociopath and you being her little handmaiden won't change that.

I hope I get a chance to that BS “line” you’re talking about.
It is curious that all female leaders at Shire are trashed on CP. Could it be the old white males in the sales force are envious as well as bitter? It's 2018, misogynistic creeps!!

It is curious that all female leaders at Shire are trashed on CP. Could it be the old white males in the sales force are envious as well as bitter? It's 2018, misogynistic creeps!!

Nice crutch. There are many female leaders who are amazing. But this is Shire so most leadership sucks. This is also cafe pharma so you don’t hear about what’s good. Last time I checked mark Russ, perry, etc all identified as males. So take your “women get bashed just because their women” line and go somewhere else with it.

It is curious that all female leaders at Shire are trashed on CP. Could it be the old white males in the sales force are envious as well as bitter? It's 2018, misogynistic creeps!!

ah, the last tool for those with weak arguments finally comes out! It couldn’t be that Julie Mann is a terrible leader who has systematically hurt those below her while making poor decision after poor decision. No! It’s because *sniff* she is a woman *sniff* and we are full of jealousy *sniff* and ... MISOGYNY!!!!

How is criticizing and calling out one of the worst ZDs in the history of Shire misogyny? Have you considered for an moment that you’re simpering post implying that a woman’s effectiveness at her job shouldn’t be judged on the basis of that woman’s actions because it hurts feelings is actually deeply rooted in mysoganistic notions?

Have you considered while patting yourself on the back for protecting a poor whittle woman that YOU are a creepy mysogonist who doesn’t understand what the word even means? (Go pick up some fem theory books, I’ll wait)

Lastly, had to laugh that you bring race into anything given that Julie has benefited from her white privlage her entire life.

But yeah, stick up for the poor whittle white woman who everyone is just jealous of!

Nice crutch. There are many female leaders who are amazing. But this is Shire so most leadership sucks. This is also cafe pharma so you don’t hear about what’s good. Last time I checked mark Russ, perry, etc all identified as males. So take your “women get bashed just because their women” line and go somewhere else with it.

(The entry is interrupted by records of crystals)
Simulated powder diffractogram
Compound: Li4MnCo2NiO8
Radiation: Cu Ka
Structure: a structure optimized by DFT (GGA+U)

The 8 most intense peaks (5° ≤ 2θ ≤ 70°), by angle:
- 18.6 deg, I 100
- 36.2 deg, I 13
- 36.5 deg, I 27
- 38.1 deg, I 9
- 43.9 deg, I 24
- 44.2 deg, I 47
- 63.9 deg, I 19
- 64.3 deg, I 12

Structural model:
Cell lengths 5.0553, 5.0553, 10.0679 Å; angles 99.33, 99.33, 33.08 degrees
Fractional positions:
Li 0.0000 0.0000 0.0000
Li 0.4971 0.4971 0.7182
Li 0.5013 0.5013 0.2471
Li 0.9956 0.9956 0.4810
Mn 0.2489 0.2489 0.8674
Co 0.2509 0.2509 0.3616
Co 0.7508 0.7508 0.1178
Ni 0.7507 0.7507 0.6086
O 0.1353 0.1353 0.6962
O 0.1431 0.1431 0.1773
O 0.3598 0.3598 0.0526
O 0.3679 0.3679 0.5384
O 0.6390 0.6390 0.4177
O 0.6413 0.6413 0.9343
O 0.8576 0.8576 0.2943
O 0.8631 0.8631 0.8158
(The records of crystals stop here)

So true. Don’t forget she threw in “white” males too. Total bullshit. Continue playing the victim lady. You are great at it

It is curious that all female leaders at Shire are trashed on CP. Could it be the old white males in the sales force are envious as well as bitter? It's 2018, misogynistic creeps!!

Did MSNBC'S Rachel Maddow email Natalie and Julie what to write on CP in response to her poor leadership skills. This has to be a joke. Facts dont matter to these liberal idiots. Well over 80% of the comments made about Shire here are dealing with individuals who have no brains and are male. How do I know this? I am sitting by the pool putting in fake calls and had time to go back and look over the last 2 months of comments on here. So happy to be a pediatric rep. Not everything has to do with gender and race like you want to believe. There are plenty of white males that are complete idiots at Shire. There are some white females that have been promoted just because they were women but didn't deserve it. Clarissa who was African American was twice as smart as Kevin Cowles and didn't look and sound like a complete dufus on stage either. Your white male leadership that you and about 10% of others believe in got rid of her for some reason. Ask Perry and Mark Why?

-- Records of crystals from another source follow --
+++
# Ca2Hg2Pb3
Calculated powder X-ray diffraction pattern, a wavelength of 1.5418 Å. Input: the PBE geometry in Alexandria.
Lines closer than 0.1° are merged.

Cell and atoms:
```
data_Ca2Hg2Pb3
_chemical_formula_sum 'Ca4 Hg4 Pb6'
_space_group_name_H-M_alt 'C m m m'
_space_group_IT_number 65
_space_group_name_Hall '-C 2 2'
_cell_length_a 4.912
_cell_length_b 22.560
_cell_length_c 3.687
_cell_angle_alpha 90.00
_cell_angle_beta 90.00
_cell_angle_gamma 90.00
loop_
_atom_site_label
_atom_site_fract_x
_atom_site_fract_y
_atom_site_fract_z
Ca1 0.000 0.160 0.000
Hg1 0.000 0.285 0.500
Pb1 0.000 0.000 0.000
Pb2 0.000 0.424 0.500
```

The 8 most intense peaks (15 to 90 degrees two-theta), by intensity:
| (hkl) | Position (°2θ) | intensity |
| --- | --- | --- |
| 1 1 1 | 30.58 | 100 |
| 1 7 0 | 33.25 | 94 |
| 0 6 1 | 34.06 | 46 |
| 2 0 0 | 36.59 | 38 |
| 1 7 2 | 60.89 | 34 |
| 2 6 1 | 50.84 | 30 |
| 1 7 1 | 41.51 | 26 |
| 0 0 1 | 24.14 | 24 |

---

# Ca3Hg3Pb4
Calculated powder X-ray diffraction pattern, a wavelength of 1.5418 Å. Input: the PBE geometry in Alexandria.
Lines closer than 0.1° are merged.

Cell and atoms:
```
data_Ca3Hg3Pb4
_chemical_formula_sum 'Ca12 Hg12 Pb16'
_space_group_name_H-M_alt 'I -4 3 d'
_space_group_IT_number 220
_space_group_name_Hall 'I -4bd 2c 3'
_cell_length_a 10.601
_cell_length_b 10.601
_cell_length_c 10.601
_cell_angle_alpha 90.00
_cell_angle_beta 90.00
_cell_angle_gamma 90.00
loop_
_atom_site_label
_atom_site_fract_x
_atom_site_fract_y
_atom_site_fract_z
Ca1 0.000 0.250 0.375
Hg1 0.000 0.250 0.875
Pb1 0.103 0.103 0.103
```

The 8 most intense peaks (15 to 90 degrees two-theta), by intensity:
| (hkl) | Position (°2θ) | intensity |
| --- | --- | --- |
| 3 2 1 | 31.58 | 100 |
| 2 1 1 | 20.52 | 45 |
| 5 1 0 | 43.53 | 30 |
| 5 2 1 | 46.94 | 22 |
| 4 2 0 | 37.96 | 18 |
| 6 3 1 | 59.10 | 15 |
| 4 2 2 | 41.74 | 12 |
| 4 4 4 | 60.50 | 10 |

---

# CaHgPb3
Calculated powder X-ray diffraction pattern, a wavelength of 1.5418 Å. Input: the PBE geometry in Alexandria.
Lines closer than 0.1° are merged.

Cell and atoms:
```
data_CaHgPb3
_chemical_formula_sum 'Ca4 Hg4 Pb12'
_space_group_name_H-M_alt 'I m a 2'
_space_group_IT_number 46
_space_group_name_Hall 'I 2 -2a'
_cell_length_a 9.682
_cell_length_b 10.001
_cell_length_c 6.812
_cell_angle_alpha 90.00
_cell_angle_beta 90.00
_cell_angle_gamma 90.00
loop_
_atom_site_label
_atom_site_fract_x
_atom_site_fract_y
_atom_site_fract_z
Ca1 0.250 0.019 0.000
Hg1 0.250 0.749 0.248
Pb1 0.056 0.250 0.250
Pb2 0.250 0.035 0.500
```

The 8 most intense peaks (15 to 90 degrees two-theta), by intensity:
| (hkl) | Position (°2θ) | intensity |
| --- | --- | --- |
| 0 2 2 | 31.79 | 100 |
| 3 1 2 | 39.51 | 62 |
| 3 1 0 | 29.07 | 46 |
| 3 3 0 | 38.84 | 42 |
| 0 2 0 | 17.74 | 41 |
| 0 4 0 | 35.92 | 32 |
| 2 2 0 | 25.61 | 28 |
| 3 5 2 | 60.90 | 27 |

---

# CaHg4Pb
Calculated powder X-ray diffraction pattern, a wavelength of 1.5418 Å. Input: the PBE geometry in Alexandria.
Lines closer than 0.1° are merged.
+++

it is just a way to derail and take the heat off of Julie and her YEARS of poor leadership. She is toxic garbage who thinks she's above her lowly reps. One day that'll come back to get you Julie.

I a female, I work in the west, and Julie Mann is the worst leader I have ever worked with. She gives women a bad name. Her actions and her actions alone. Are there misogynists out there? Absolutely. But there are many great male leaders who look at body of work, not just bodies. How Julie got to the position she’s in is beyond me. Her ineptitude is what’s hurting other future female leaders. Not the people calling her out for being terrible.

It is curious that all female leaders at Shire are trashed on CP. Could it be the old white males in the sales force are envious as well as bitter? It's 2018, misogynistic creeps!!

Since you are claiming men are bad, let me give you some fuel for your argument:

## Attached: materials data
+++
This entry pairs a crystal structure of Pr2SmZn2Si4Pd2 with its computed X-ray powder pattern. Radiation: Cu Kα X-rays. Structure: the PBE geometry in OQMD.

Structural model:
Cell lengths 12.904, 12.904, 12.904 Å; angles 161.64, 161.08, 26.48 degrees
Fractional coordinates of all 11 atoms:
Pr 0.146 0.146 0.000
Pr 0.854 0.854 0.000
Sm 0.500 0.000 0.500
Zn 0.250 0.750 0.500
Zn 0.750 0.250 0.500
Si 0.047 0.547 0.500
Si 0.309 0.309 0.000
Si 0.691 0.691 0.000
Si 0.953 0.453 0.500
Pd 0.406 0.406 0.000
Pd 0.594 0.594 0.000

Principal peaks in the range 2θ = 15–90°, in order of rising 2θ:
2theta, I (rel.)
23.51, 19
33.11, 38
33.52, 100
38.61, 12
42.63, 21
43.98, 19
45.09, 20
55.02, 18
62.91, 13
64.81, 14

This entry pairs a crystal structure of AsPt7 with its computed X-ray powder pattern. Radiation: Cu Kα X-rays. Structure: the PBE geometry in OQMD.

Structural model:
Cell lengths 2.824, 3.851, 31.497 Å; angles 90.00, 90.00, 90.00 degrees
Fractional coordinates of all 16 atoms:
As 0.250 0.250 0.166
As 0.750 0.750 0.834
Pt 0.250 0.250 0.249
Pt 0.250 0.250 0.341
Pt 0.250 0.250 0.432
Pt 0.250 0.250 0.523
Pt 0.250 0.250 0.614
Pt 0.250 0.250 0.704
Pt 0.250 0.250 0.800
Pt 0.750 0.750 0.200
Pt 0.750 0.750 0.296
Pt 0.750 0.750 0.386
Pt 0.750 0.750 0.477
Pt 0.750 0.750 0.568
Pt 0.750 0.750 0.659
Pt 0.750 0.750 0.751

Principal peaks in the range 2θ = 15–90°, in order of rising 2θ:
2theta, I (rel.)
36.86, 22
39.20, 100
39.57, 100
39.68, 32
45.09, 68
47.23, 49
67.33, 42
78.99, 25
79.70, 26
82.56, 16

This entry pairs a crystal structure of CuAg2 with its computed X-ray powder pattern. Radiation: Cu Kα X-rays. Structure: the PBE geometry in OQMD.

Structural model:
Cell lengths 2.849, 2.849, 13.668 Å; angles 90.00, 90.00, 120.00 degrees
+++

There’s a 95% chance the woman who wrote this is either ugly or overweight

I a female, I work in the west, and Julie Mann is the worst leader I have ever worked with. She gives women a bad name. Her actions and her actions alone. Are there misogynists out there? Absolutely. But there are many great male leaders who look at body of work, not just bodies. How Julie got to the position she’s in is beyond me. Her ineptitude is what’s hurting other future female leaders. Not the people calling her out for being terrible.
Nice try, little frat boy. Julie is well respected by 90%+ of the West! The problems at Shire are numerous but the treatment and lack of respect for female managers is appalling. Julie is trying to bring positive change to a region that was ruined by arrogant white male management.

Nice try, little frat boy. Julie is well respected by 90%+ of the West! The problems at Shire are numerous but the treatment and lack of respect for female managers is appalling. Julie is trying to bring positive change to a region that was ruined by arrogant white male management.

I like your trolling style, but it needs a little work to really get people going. You didn’t quite sell this as a real post. Maybe pull back a little and stick with one angle?

Nice try, little frat boy. Julie is well respected by 90%+ of the West! The problems at Shire are numerous but the treatment and lack of respect for female managers is appalling. Julie is trying to bring positive change to a region that was ruined by arrogant white male management.

90%... lol... hahahahaha that is hilarious

Nice try, little frat boy. Julie is well respected by 90%+ of the West! The problems at Shire are numerous but the treatment and lack of respect for female managers is appalling. Julie is trying to bring positive change to a region that was ruined by arrogant white male management.

Dear Julie. Be better. Your posts suck worse than your leadership